by John Carey
It has entered to form part of a molecule of glucose, just to speak plainly: a fate that is neither fish, flesh, nor fowl, which is intermediary, which prepares it for its first contact with the animal world but does not authorize it to take on a higher responsibility: that of becoming part of a proteic edifice. Hence it travels, at the slow pace of vegetal juices, from the leaf through the pedicel and by the shoot to the trunk, and from here descends to the almost ripe bunch of grapes. What then follows is the province of the winemakers: we are only interested in pinpointing the fact that it escaped (to our advantage, since we would not know how to put it in words) the alcoholic fermentation, and reached the wine without changing its nature.
It is the destiny of wine to be drunk, and it is the destiny of glucose to be oxidized. But it was not oxidized immediately: its drinker kept it in his liver for more than a week, well curled up and tranquil, as a reserve aliment for a sudden effort; an effort that he was forced to make the following Sunday, pursuing a bolting horse. Farewell to the hexagonal structure: in the space of a few instants the skein was unwound and became glucose again, and this was dragged by the bloodstream all the way to a minute muscle fiber in the thigh, and here brutally split into two molecules of lactic acid, the grim harbinger of fatigue: only later, some minutes after, the panting of the lungs was able to supply the oxygen necessary to quietly oxidize the latter. So a new molecule of carbon dioxide returned to the atmosphere, and a parcel of the energy that the sun had handed to the vine-shoot passed from the state of chemical energy to that of mechanical energy, and thereafter settled down in the slothful condition of heat, warming up imperceptibly the air moved by the running and the blood of the runner. ‘Such is life,’ although rarely is it described in this manner: an inserting itself, a drawing off to its advantage, a parasitizing of the downward course of energy, from its noble solar form to the degraded one of low-temperature heat. In this downward course, which leads to equilibrium and thus death, life draws a bend and nests in it.
Our atom is again carbon dioxide, for which we apologize: this too is an obligatory passage; one can imagine and invent others, but on earth that’s the way it is. Once again the wind, which this time travels far; sails over the Apennines and the Adriatic, Greece, the Aegean, and Cyprus: we are over Lebanon, and the dance is repeated. The atom we are concerned with is now trapped in a structure that promises to last for a long time: it is the venerable trunk of a cedar, one of the last; it is passed again through the stages we have already described, and the glucose of which it is a part belongs, like the bead of a rosary, to a long chain of cellulose. This is no longer the hallucinatory and geological fixity of rock, this is no longer millions of years, but we can easily speak of centuries because the cedar is a tree of great longevity. It is our whim to abandon it for a year or five hundred years: let us say that after twenty years (we are in 1868) a wood worm has taken an interest in it. It has dug its tunnel between the trunk and the bark, with the obstinate and blind voracity of its race; as it drills it grows, and its tunnel grows with it. There it has swallowed and provided a setting for the subject of this story; then it has formed a pupa, and in the spring it has come out in the shape of an ugly gray moth which is now drying in the sun, confused and dazzled by the splendor of the day. Our atom is in one of the insect’s thousand eyes, contributing to the summary and crude vision with which it orients itself in space. The insect is fecundated, lays its eggs, and dies: the small cadaver lies in the undergrowth of the woods, it is emptied of its fluids, but the chitin carapace resists for a long time, almost indestructible. The snow and sun return above it without injuring it: it is buried by the dead leaves and the loam, it has become a slough, a ‘thing,’ but the death of atoms, unlike ours, is never irrevocable. Here are at work the omnipresent, untiring, and invisible gravediggers of the undergrowth, the micro-organisms of the humus. The carapace, with its eyes by now blind, has slowly disintegrated, and the ex-drinker, ex-cedar, ex-wood worm has once again taken wing.
We will let it fly three times around the world, until 1960, and in justification of so long an interval in respect to the human measure we will point out that it is, however, much shorter than the average: which, we understand, is two hundred years. Every two hundred years, every atom of carbon that is not congealed in materials by now stable (such as, precisely, limestone, or coal, or diamond, or certain plastics) enters and reenters the cycle of life, through the narrow door of photosynthesis. Do other doors exist? Yes, some syntheses created by man; they are a title of nobility for man-the-maker, but until now their quantitative importance is negligible. They are doors still much narrower than that of the vegetable greenery; knowingly or not, man has not tried until now to compete with nature on this terrain, that is, he has not striven to draw from the carbon dioxide in the air the carbon that is necessary to nourish him, clothe him, warm him, and for the hundred other more sophisticated needs of modern life. He has not done it because he has not needed to: he has found, and is still finding (but for how many more decades?) gigantic reserves of carbon already organicized, or at least reduced. Besides the vegetable and animal worlds, these reserves are constituted by deposits of coal and petroleum: but these too are the inheritance of photosynthetic activity carried out in distant epochs, so that one can well affirm that photosynthesis is not only the sole path by which carbon becomes living matter, but also the sole path by which the sun’s energy becomes chemically usable.
Next to the entry, the page also holds data records
┌──
First-principles (r2SCAN) data for crystalline CeScPd6 at its relaxed geometry, as listed in the Materials Project.

a b c (Å): 4.064 4.064 8.074
angles (deg): 90.00 90.00 90.00
Element x y z (fractional)
Pd 0.000 0.500 0.257
Pd 0.000 0.500 0.743
Pd 0.500 0.500 0.000
Pd 0.500 0.000 0.257
Pd 0.500 0.000 0.743
Pd 0.500 0.500 0.500
Sc 0.000 0.000 0.500
Ce 0.000 0.000 0.000

Output
The formation energy is -0.858 eV per atom.

* * * * *

! NdInO3 (PBE-GGA, relaxed); values from VASP
&SYSTEM
  ibrav = 0, nat = 20, ntyp = 3
/
ATOMIC_SPECIES
Nd 144.24 Nd.upf
In 114.82 In.upf
O 16.00 O.upf
CELL_PARAMETERS angstrom
6.0038 0.0000 0.0000
0.0000 8.2404 0.0000
0.0000 0.0000 5.6817
ATOMIC_POSITIONS crystal
Nd 0.0628 0.2500 0.0178
Nd 0.4372 0.7500 0.5178
Nd 0.5628 0.2500 0.4822
Nd 0.9372 0.7500 0.9822
In 0.0000 0.0000 0.5000
In 0.0000 0.5000 0.5000
In 0.5000 0.0000 0.0000
In 0.5000 0.5000 0.0000
O 0.0580 0.7500 0.3731
O 0.1906 0.5640 0.8126
O 0.1906 0.9360 0.8126
O 0.3094 0.0640 0.3126
O 0.3094 0.4360 0.3126
O 0.4420 0.2500 0.8731
O 0.5580 0.7500 0.1269
O 0.6906 0.5640 0.6874
O 0.6906 0.9360 0.6874
O 0.8094 0.0640 0.1874
O 0.8094 0.4360 0.1874
O 0.9420 0.2500 0.6269
! * formation energy from the elements: -2.87 eV/atom
! * crystal system: orthorhombic

! NdInPd (PBE-GGA, relaxed); values from VASP
&SYSTEM
  ibrav = 0, nat = 9, ntyp = 3
/
ATOMIC_SPECIES
Nd 144.24 Nd.upf
In 114.82 In.upf
Pd 106.42 Pd.upf
CELL_PARAMETERS angstrom
7.8364 0.0000 0.0000
-3.9182 6.7865 0.0000
0.0000 0.0000 3.9998
ATOMIC_POSITIONS crystal
Nd 0.0000 0.4114 0.0000
Nd 0.4114 0.0000 0.0000
Nd 0.5886 0.5886 0.0000
In 0.0000 0.7465 0.5000
In 0.2535 0.2535 0.5000
In 0.7465 0.0000 0.5000
Pd 0.0000 0.0000 0.0000
Pd 0.3333 0.6667 0.5000
Pd 0.6667 0.3333 0.5000
! * formation energy from the elements: -0.78 eV/atom
! * crystal system: hexagonal

! NdInPd (PBE-GGA, relaxed); values from VASP
&SYSTEM
  ibrav = 0, nat = 9, ntyp = 3
/
ATOMIC_SPECIES
Nd 144.24 Nd.upf
In 114.82 In.upf
Pd 106.42 Pd.upf
CELL_PARAMETERS angstrom
8.1837 0.0000 0.0000
-4.0919 7.0873 0.0000
0.0000 0.0000 3.7794
ATOMIC_POSITIONS crystal
Nd 0.0000 0.7183 0.0000
Nd 0.2817 0.2817 0.0000
Nd 0.7183 0.0000 0.0000
In 0.0000 0.3831 0.5000
In 0.3831 0.0000 0.5000
In 0.6169 0.6169 0.5000
Pd 0.0000 0.0000 0.5000
Pd 0.3333 0.6667 0.0000
Pd 0.6667 0.3333 0.0000
! * formation energy from the elements: -0.53 eV/atom
! * crystal system: hexagonal

! NdIn2Pd (PBE-GGA, relaxed); values from VASP
&SYSTEM
  ibrav = 0, nat = 40, ntyp = 3
/
ATOMIC_SPECIES
Nd 144.24 Nd.upf
In 114.82 In.upf
Pd 106.42 Pd.upf
CELL_PARAMETERS angstrom
-7.0907 7.0907 4.6707
7.0907 -7.0907 4.6707
7.0907 7.0907 -4.6707
ATOMIC_POSITIONS crystal
Nd 0.0000 0.0000 0.0000
Nd 0.0828 0.0828 0.4037
Nd 0.0828 0.6791 0.0000
Nd 0.1117 0.3932 0.7186
Nd 0.3932 0.1117 0.7186
Nd 0.3932 0.6746 0.2814
Nd 0.4680 0.4680 0.0000
Nd 0.6746 0.3932 0.2814
Nd 0.6791 0.0828 0.0000
Nd 0.6791 0.6791 0.5963
In 0.0943 0.0943 0.7335
In 0.0943 0.3608 0.0000
In 0.2511 0.8693 0.3819
In 0.2707 0.4808 0.4922
└──
It is possible to demonstrate that this completely arbitrary story is nevertheless true. I could tell innumerable other stories, and they would all be true: all literally true, in the nature of the transitions, in their order and data. The number of atoms is so great that one could always be found whose story coincides with any capriciously invented story. I could recount an endless number of stories about carbon atoms that become colors or perfumes in flowers; of others which, from tiny algae to small crustaceans to fish, gradually return as carbon dioxide to the waters of the sea, in a perpetual, frightening round-dance of life and death, in which every devourer is immediately devoured; of others which instead attain a decorous semi-eternity in the yellowed pages of some archival document, or the canvas of a famous painter; or those to which fell the privilege of forming part of a grain of pollen and left their fossil imprint in the rocks for our curiosity; of others still that descended to become part of the mysterious shape-messengers of the human seed, and participated in the subtle process of division, duplication, and fusion from which each of us is born. Instead, I will tell just one more story, the most secret, and I will tell it with the humility and restraint of him who knows from the start that his theme is desperate, his means feeble, and the trade of clothing facts in words is bound by its very nature to fail.
It is again among us, in a glass of milk. It is inserted in a very complex, long chain, yet such that almost all of its links are acceptable to the human body. It is swallowed; and since every living structure harbors a savage distrust toward every contribution of any material of living origin, the chain is meticulously broken apart and the fragments, one by one, are accepted or rejected. One, the one that concerns us, crosses the intestinal threshold and enters the bloodstream: it migrates, knocks at the door of a nerve cell, enters, and supplants the carbon which was part of it. This cell belongs to a brain, and it is my brain, the brain of the me who is writing; and the cell in question, and within it the atom in question, is in charge of my writing, in a gigantic minuscule game which nobody has yet described. It is that which at this instant, issuing out of a labyrinthine tangle of yeses and nos, makes my hand run along a certain path on the paper, mark it with these volutes that are signs: a double snap, up and down, between two levels of energy, guides this hand of mine to impress on the paper this dot, here, this one.
Source: Primo Levi, The Periodic Table, translated from the Italian by Raymond Rosenthal, London, Abacus, 1986 (Sphere Books).
Arguably the most important book published th
is century was Silent Spring (1962), which prompted governments in many countries to restrict the use of pesticides. Its author, Rachel Carson (1907–64) was born in Springdale, Pennsylvania, and studied biology at Pennsylvania College for Women. In 1936 she joined the staff of the United States Bureau of Fisheries as a marine biologist. She had always wanted to be a writer, and she won international fame with The Sea Around Us (1961) which was translated into 30 languages. These extracts are from it.
The tides are a response of the mobile waters of the ocean to the pull of the moon and the more distant sun. In theory, there is a gravitational attraction between every drop of sea water and even the outermost star of the universe. In practice, however, the pull of the remote stars is so slight as to be obliterated in the vaster movements by which the ocean yields to the moon and the sun. Anyone who has lived near tide water knows that the moon, far more than the sun, controls the tides. He has noticed that, just as the moon rises later each day by fifty minutes, on the average, than the day before, so, in most places, the time of high tide is correspondingly later each day. And as the moon waxes and wanes in its monthly cycle, so the height of the tide varies. Twice each month, when the moon is a mere thread of silver in the sky, and again when it is full, we have the strongest tidal movements – the highest flood tides and the lowest ebb tides of the lunar month. These are called the spring tides. At these times sun, moon, and earth are directly in line and the pull of the two heavenly bodies is added together to bring the water high on the beaches, and send its surf leaping upward against the sea cliffs, and draw a brimming tide into the harbours so that the boats float high beside their wharfs. And twice each month, at the quarters of the moon, when sun, moon, and earth lie at the apexes of a triangle, and the pull of sun and moon are opposed, we have the moderate tidal movements called the neap tides. Then the difference between high and low water is less than at any other time during the month.
That the sun, with a mass 27 million times that of the moon, should have less influence over the tides than a small satellite of the earth is at first surprising. But in the mechanics of the universe, nearness counts for more than distant mass, and when all the mathematical calculations have been made we find that the moon’s power over the tides is more than twice that of the sun …
If the history of the earth’s tides should one day be written by some observer of the universe, it would no doubt be said that they reached their greatest grandeur and power in the younger days of Earth, and that they slowly grew feebler and less imposing until one day they ceased to be. For the tides were not always as they are today, and as with all that is earthly, their days are numbered.
In the days when the earth was young, the coming in of the tide must have been a stupendous event. If the moon was formed by the tearing away of a part of the outer crust of the earth, it must have remained for a time very close to its parent. Its present position is the consequence of being pushed farther and farther away from the earth for some 2 billion years. When it was half its present distance from the earth, its power over the ocean tides was eight times as great as now, and the tidal range may even have been several hundred feet on certain shores. But when the earth was only a few million years old, assuming that the deep ocean basins were then formed, the sweep of the tides must have been beyond all comprehension. Twice each day, the fury of the incoming waters would inundate all the margins of the continents. The range of the surf must have been enormously extended by the reach of the tides, so that the waves would batter the crests of high cliffs and sweep inland to erode the continents. The fury of such tides would contribute not a little to the general bleakness and grimness and uninhabitability of the young earth.
Under such conditions, no living thing could exist on the shores or pass beyond them, and, had conditions not changed, it is reasonable to suppose that life would have evolved no further than the fishes. But over the millions of years the moon has receded, driven away by the friction of the tides it creates. The very movement of the water over the bed of the ocean, over the shallow edges of the continents, and over the inland seas carries within itself the power that is slowly destroying the tides, for tidal friction is gradually slowing down the rotation of the earth. In those early days we have spoken of, it took the earth a much shorter time – perhaps only about four hours – to make a complete rotation on its axis. Since then, the spinning of the globe has been so greatly slowed that a rotation now requires, as everyone knows, about 24 hours. This retarding will continue according to mathematicians, until the day is about 50 times as long as it is now.
And all the while the tidal friction will be exerting a second effect, pushing the moon farther away, just as it has already pushed it out more than 200,000 miles. (According to the laws of mechanics, as the rotation of the earth is retarded, that of the moon must be accelerated, and centrifugal force will carry it farther away.) As the moon recedes, it will, of course, have less power over the tides and they will grow weaker. It will also take the moon longer to complete its orbit around the earth. When finally the length of the day and of the month coincide, the moon will no longer rotate relatively to the earth, and there will be no lunar tides.
All this, of course, will require time on a scale the mind finds it difficult to conceive, and before it happens it is quite probable that the human race will have vanished from the earth. This may seem, then, like a Wellsian fantasy of a world so remote that we may dismiss it from our thoughts. But already, even in our allotted fraction of earthly time, we can see some of the effects of these cosmic processes. Our day is believed to be several seconds longer than that of Babylonian times. Britain’s Astronomer Royal recently called the attention of the American Philosophical Society to the fact that the world will soon have to choose between two kinds of time. The tide-induced lengthening of the day has already complicated the problems of human systems of keeping time. Conventional clocks, geared to the earth’s rotation, do not show the effect of the lengthening days. New atomic clocks now being constructed will show actual times and will differ from other clocks …
The influence of the tide over the affairs of sea creatures as well as men may be seen all over the world. The billions upon billions of sessile animals, like oysters, mussels, and barnacles, owe their very existence to the sweep of the tides, which brings them the food which they are unable to go in search of. By marvellous adaptations of form and structure, the inhabitants of the world between the tide lines are enabled to live in a zone where the danger of being dried up is matched against the danger of being washed away, where for every enemy that comes by sea there is another that comes by land, and where the most delicate of living tissues must somehow withstand the assault of storm waves that have the power to shift tons of rock or to crack the hardest granite.
The most curious and incredibly delicate adaptations, however, are the ones by which the breeding rhythm of certain marine animals is timed to coincide with the phases of the moon and the stages of the tide. In Europe it has been well-established that the spawning activities of oysters reach their peak on the spring tides, which are about two days after the full or the new moon. In the waters of northern Africa there is a sea urchin that, on the nights when the moon is full and apparently only then, releases its reproductive cells into the sea. And in tropical waters in many parts of the world there are small marine worms whose spawning behaviour is so precisely adjusted to the tidal calendar that, merely from observing them, one could tell the month, the day, and often the time of day as well.
Near Samoa in the Pacific, the palolo worm lives out its life on the bottom of the shallow sea, in holes in the rocks and among the masses of corals. Twice each year, during the neap tides of the moon’s last quarter in October and November the worms forsake their burrows and rise to the surface in swarms that cover the water. For this purpose, each worm has literally broken its body in two, half to remain in its rocky tunnel, half to carry the reproductive products to the surface and there to liberate the cells. This happens at
dawn on the day before the moon reaches its last quarter, and again on the following day; on the second day of the spawning the quantity of eggs liberated is so great that the sea is discoloured.
The Fijians, whose waters have a similar worm, call them ‘Mbalolo’ and have designated the periods of their spawning ‘Mbalola lailai’ (little) for October and ‘Mbalolo levu’ (large) for November. Similar worms near the Gilbert Islands respond to certain phases of the moon in June and July; in the Malay Archipelago a related worm swarms at the surface on the second and third nights after the full moon of March and April, when the tides are running highest. A Japanese palolo swarms after the new moon and again after the full moon in October and November.
Concerning each of these, the question recurs but remains unanswered: is it the state of the tides that in some unknown way supplies the impulse from which springs this behaviour, or is it, even more mysteriously, some other influence of the moon? It is easier to imagine that it is the press and the rhythmic movement of the water that in some way brings about this response. But why is it only certain tides of the year, and why for some species is it the fullest tides of the month and for others the least movement of the waters that are related to the perpetuation of the race? At present, no one can answer.
No other creature displays so exquisite an adaptation to the tidal rhythm as the grunion – a small, shimmering fish about as long as a man’s hand. Through no one can say what processes of adaptation, extending over no one knows how many millennia, the grunion has come to know not only the daily rhythm of the tides, but the monthly cycle by which certain tides sweep higher on the beaches than others. It has so adapted its spawning habits to the tidal cycle that the very existence of the race depends on the precision of this adjustment.